• Exercise:
Your job: type out the whole of the contents further below character by character.
• Source:
+++
{
  "formula": "C58H62N12O10PS4SeTl",
  "method": "ωB97M-V with the def2-TZVPD basis set",
  "elements": ["Tl", "N", "C", "N", "C", "C", "S", "C", "C", "S", "C", "N", "N", "H", "H", "H", "H", "H", "H", "Se", "N", "C", "C", "C", "C", "C", "N", "C", "C", "N", "C", "C", "C", "C", "C", "N", "H", "H", "H", "H", "H", "H", "O", "C", "O", "C", "C", "C", "C", "C", "C", "O", "N", "O", "O", "N", "O", "O", "H", "H", "C", "P", "C", "C", "H", "H", "H", "H", "H", "H", "H", "H", "H", "C", "C", "C", "C", "N", "C", "S", "N", "C", "C", "C", "C", "H", "H", "H", "H", "H", "H", "H", "H", "H", "H", "H", "H", "H", "H", "H", "H", "H", "H", "H", "H", "O", "S", "C", "C", "C", "C", "C", "C", "C", "C", "C", "C", "C", "C", "C", "C", "H", "H", "H", "H", "H", "H", "H", "H", "H", "H", "H", "H", "H", "H", "O", "C", "O", "C", "C", "C", "C", "C", "C", "H", "H", "H", "H", "H"],
+++
• Reply:
{
  "formula": "C58H62N12O10PS4SeTl",
  "method": "ωB97M-V with the def2-TZVPD basis set",
  "elements": ["Tl", "N", "C", "N", "C", "C", "S", "C", "C", "S", "C", "N", "N", "H", "H", "H", "H", "H", "H", "Se", "N", "C", "C", "C", "C", "C", "N", "C", "C", "N", "C", "C", "C", "C", "C", "N", "H", "H", "H", "H", "H", "H", "O", "C", "O", "C", "C", "C", "C", "C", "C", "O", "N", "O", "O", "N", "O", "O", "H", "H", "C", "P", "C", "C", "H", "H", "H", "H", "H", "H", "H", "H", "H", "C", "C", "C", "C", "N", "C", "S", "N", "C", "C", "C", "C", "H", "H", "H", "H", "H", "H", "H", "H", "H", "H", "H", "H", "H", "H", "H", "H", "H", "H", "H", "H", "O", "S", "C", "C", "C", "C", "C", "C", "C", "C", "C", "C", "C", "C", "C", "C", "H", "H", "H", "H", "H", "H", "H", "H", "H", "H", "H", "H", "H", "H", "O", "C", "O", "C", "C", "C", "C", "C", "C", "H", "H", "H", "H", "H"],